Work order
Please find "-1.114908 -0.1454" and "-0.107452 1.729399" in the rows further down, and return these two lines and those between.

Input
Entry 1:
C23H29AuPSi2 as an isolated structure, computed with ωB97M-V/def2-TZVPD.

```
56
Properties=species:S:1:pos:R:3:forces:R:3
H 4.233077 0.661963 -0.717969 0.0821 -0.1761 -0.1207
H -1.343905 5.979030 -1.226919 -0.0214 0.0361 -0.0052
H -5.866479 -1.336463 -1.900305 -0.0299 -0.0017 -0.0198
H -0.785805 -2.886942 2.121590 -0.1127 0.1568 0.1662
H -1.582951 -0.917974 -4.190898 -0.0188 0.0536 -0.0342
H 0.791368 2.235932 2.348152 -0.1512 -0.0255 0.1149
C -1.158165 2.649999 -0.687944 -0.1533 0.0293 -0.1530
H -1.800406 2.784134 -4.014146 -0.0220 -0.0754 -0.0902
H 3.608806 2.297355 -0.809383 -0.0361 0.1814 -0.1494
Si 2.136333 0.889873 0.660962 0.3624 -0.2405 0.1343
C 2.081102 -3.988959 -0.365616 -0.2731 0.4553 0.0323
H -0.983213 4.346781 0.593708 0.0703 0.0140 0.0973
H -0.940001 1.932333 0.090777 0.0899 0.0331 0.0889
H 1.502284 -4.524962 -1.114908 -0.1454 -0.0695 -0.1381
H -1.037300 -3.955742 0.759685 -0.1406 -0.0694 -0.1738
C -1.608594 4.465612 -2.723942 -0.0222 0.3276 0.0050
Au 0.613920 -0.430094 -0.696036 -0.1963 0.0170 -0.4574
H -3.613254 -1.206495 1.731052 0.0144 -0.0397 0.0658
H -1.684601 -0.323990 0.496942 0.0589 -0.0068 0.0927
C -4.955542 -1.093141 -1.367726 -0.3488 -0.1260 0.0743
C -3.884752 -0.558066 -2.057694 0.5594 0.2005 0.1946
C 1.753063 2.374712 1.856927 -0.1444 -0.4870 -0.3792
C -4.874904 -1.321566 -0.004460 0.1946 0.0568 0.0791
C -2.619582 -0.506351 -0.016716 0.1955 0.1411 -0.2756
H -0.686304 0.566409 -4.541924 -0.0987 -0.0187 -0.0160
C -1.158649 4.001415 -0.414517 -0.0974 0.1467 0.0409
C 3.378548 -2.372260 3.866425 0.0428 -0.1851 0.1361
C -1.392648 2.182921 -1.981942 0.0356 0.1877 -0.0510
Si 1.036886 -2.545888 0.398271 0.3958 -0.2332 0.2690
H 2.411399 -4.714867 0.375743 0.0227 -0.0568 0.2373
H -2.459856 0.631471 -4.336773 -0.0025 0.0325 0.0058
H 4.540872 1.794121 0.591854 0.1087 0.0278 0.2621
H 1.701062 3.304513 1.297132 -0.0438 0.1917 -0.2185
H 3.914787 0.812650 2.957715 0.0376 0.1317 0.0615
H 2.229983 -3.768067 2.755343 -0.0469 -0.1922 0.0105
C -1.540031 0.155278 -3.998637 0.2809 -0.1257 0.4604
C 2.676709 -0.539728 1.862729 -0.1192 0.5506 -0.2057
H -5.716760 -1.736710 0.531214 -0.0574 -0.0404 0.0245
C 3.863157 -1.078545 3.919622 0.1662 0.0729 0.1777
C -3.694260 -1.022612 0.669157 -0.4614 -0.1023 0.1091
H 2.964550 -3.594852 -0.861053 0.1713 0.0935 -0.0939
C -1.371159 4.917624 -1.435924 -0.0330 0.0290 -0.0598
H 4.490324 -0.756916 4.744963 0.0206 -0.0070 -0.0183
H 0.148263 -4.368860 1.984227 0.1957 -0.1026 0.0834
C 3.520625 -0.195291 2.913154 0.2002 0.1730 0.1982
C 2.212095 -1.862564 1.788917 -0.3405 -0.3442 -0.2524
H 2.504741 2.508868 2.631827 0.1772 -0.0768 0.1027
C 3.798811 1.467628 -0.133032 -0.4813 -0.1505 0.0586
H -1.784643 5.176950 -3.522842 0.0344 -0.0055 0.0028
H 3.607479 -3.079489 4.656518 0.0405 -0.0289 -0.0154
P -1.191956 0.374403 -2.190442 0.4406 -0.0284 -0.2748
H -3.977534 -0.390481 -3.119029 0.0169 0.0370 -0.1399
C -1.624024 3.108860 -2.999556 0.0290 -0.3965 0.2181
C -2.693818 -0.252013 -1.388359 -0.6336 -0.2283 -0.0473
C 2.588693 -2.748695 2.795111 0.0337 -0.1442 0.1704
C -0.277838 -3.542252 1.418977 0.1542 0.4080 -0.3845
```
Forces are in eV/Å.

The LUMO energy is 2.7 eV. Its HOMO-LUMO gap is 5.32 eV. The HOMO energy comes out at -2.58 eV. As for the energy relative to the best compared isomer or geometry (same formula, charge and spin): 1.4 kJ/mol. As for the total charge: -1.

=====

Entry 2:
C23H29BaN5O8SeSi as an isolated structure, computed with ωB97M-V/def2-TZVPD.

```
68
Properties=species:S:1:pos:R:3:forces:R:3
C -2.158664 -5.236282 1.090626 -0.0464 -0.0234 0.0104
N 3.239678 0.242162 0.994496 -0.1148 0.0580 0.0941
O -0.107452 1.729399 0.875419 0.0593 -0.1087 0.0995
H 1.638189 -0.422067 -3.845963 -0.0002 -0.0043 -0.0016
O -5.183957 6.064201 -1.363839 -0.0011 0.0143 -0.0467
C 2.548575 -0.740909 -3.329702 -0.1246 -0.0706 -0.0251
H -4.089839 -4.235342 1.216861 0.0036 -0.0025 0.0065
C 3.941060 2.026480 -0.671415 -0.0241 -0.0341 -0.0422
H -1.536319 -6.784446 -0.118705 0.0025 0.0141 -0.0031

Done
H 1.502284 -4.524962 -1.114908 -0.1454 -0.0695 -0.1381
H -1.037300 -3.955742 0.759685 -0.1406 -0.0694 -0.1738
C -1.608594 4.465612 -2.723942 -0.0222 0.3276 0.0050
Au 0.613920 -0.430094 -0.696036 -0.1963 0.0170 -0.4574
H -3.613254 -1.206495 1.731052 0.0144 -0.0397 0.0658
H -1.684601 -0.323990 0.496942 0.0589 -0.0068 0.0927
C -4.955542 -1.093141 -1.367726 -0.3488 -0.1260 0.0743
C -3.884752 -0.558066 -2.057694 0.5594 0.2005 0.1946
C 1.753063 2.374712 1.856927 -0.1444 -0.4870 -0.3792
C -4.874904 -1.321566 -0.004460 0.1946 0.0568 0.0791
C -2.619582 -0.506351 -0.016716 0.1955 0.1411 -0.2756
H -0.686304 0.566409 -4.541924 -0.0987 -0.0187 -0.0160
C -1.158649 4.001415 -0.414517 -0.0974 0.1467 0.0409
C 3.378548 -2.372260 3.866425 0.0428 -0.1851 0.1361
C -1.392648 2.182921 -1.981942 0.0356 0.1877 -0.0510
Si 1.036886 -2.545888 0.398271 0.3958 -0.2332 0.2690
H 2.411399 -4.714867 0.375743 0.0227 -0.0568 0.2373
H -2.459856 0.631471 -4.336773 -0.0025 0.0325 0.0058
H 4.540872 1.794121 0.591854 0.1087 0.0278 0.2621
H 1.701062 3.304513 1.297132 -0.0438 0.1917 -0.2185
H 3.914787 0.812650 2.957715 0.0376 0.1317 0.0615
H 2.229983 -3.768067 2.755343 -0.0469 -0.1922 0.0105
C -1.540031 0.155278 -3.998637 0.2809 -0.1257 0.4604
C 2.676709 -0.539728 1.862729 -0.1192 0.5506 -0.2057
H -5.716760 -1.736710 0.531214 -0.0574 -0.0404 0.0245
C 3.863157 -1.078545 3.919622 0.1662 0.0729 0.1777
C -3.694260 -1.022612 0.669157 -0.4614 -0.1023 0.1091
H 2.964550 -3.594852 -0.861053 0.1713 0.0935 -0.0939
C -1.371159 4.917624 -1.435924 -0.0330 0.0290 -0.0598
H 4.490324 -0.756916 4.744963 0.0206 -0.0070 -0.0183
H 0.148263 -4.368860 1.984227 0.1957 -0.1026 0.0834
C 3.520625 -0.195291 2.913154 0.2002 0.1730 0.1982
C 2.212095 -1.862564 1.788917 -0.3405 -0.3442 -0.2524
H 2.504741 2.508868 2.631827 0.1772 -0.0768 0.1027
C 3.798811 1.467628 -0.133032 -0.4813 -0.1505 0.0586
H -1.784643 5.176950 -3.522842 0.0344 -0.0055 0.0028
H 3.607479 -3.079489 4.656518 0.0405 -0.0289 -0.0154
P -1.191956 0.374403 -2.190442 0.4406 -0.0284 -0.2748
H -3.977534 -0.390481 -3.119029 0.0169 0.0370 -0.1399
C -1.624024 3.108860 -2.999556 0.0290 -0.3965 0.2181
C -2.693818 -0.252013 -1.388359 -0.6336 -0.2283 -0.0473
C 2.588693 -2.748695 2.795111 0.0337 -0.1442 0.1704
C -0.277838 -3.542252 1.418977 0.1542 0.4080 -0.3845
```
Forces are in eV/Å.

The LUMO energy is 2.7 eV. Its HOMO-LUMO gap is 5.32 eV. The HOMO energy comes out at -2.58 eV. As for the energy relative to the best compared isomer or geometry (same formula, charge and spin): 1.4 kJ/mol. As for the total charge: -1.

=====

Entry 2:
C23H29BaN5O8SeSi as an isolated structure, computed with ωB97M-V/def2-TZVPD.

```
68
Properties=species:S:1:pos:R:3:forces:R:3
C -2.158664 -5.236282 1.090626 -0.0464 -0.0234 0.0104
N 3.239678 0.242162 0.994496 -0.1148 0.0580 0.0941
O -0.107452 1.729399 0.875419 0.0593 -0.1087 0.0995